I was neither the smartest nor the richest student of Uncle Dissa and Aunty Pri. But I was definitely one of the most courageous. I had already applied to the University of Cincinnati when I first met Uncle Dissa. But it was not possible for me to join UC if they wouldn’t give me their maximum scholarship. Uncle Dissa sent my CV to them the same night I met him and they offered me their maximum scholarship the following morning. He also sent my CV to seven other universities and gave me their offerings too. He did all that in one night and only with a CV.
Joanna Lindamulage (Devi Balika Vidyalaya, Bishops' College) transferred to University of Cincinnati from American National College. Currently a Junior at UC College of Engineering and Applied Sciences majoring in Chemical Engineering, Lindamulage started co-opting in 2010 at a fortune 100 International company in USA (Process Development Engineer ’10 and Production Engineer ’11). On campus, Lindamulage works at UC International Admissions Office helping International students and is a Research Associate and Teaching Assistant for UC College of Engineering. Lindamulage’s ambition is to develop a chemical plant in Sri Lanka upon graduating as a Chemical Engineer with a sound foundation of Chemistry and Business Management.
Here the piece breaks off for calculated crystals:
********
Entry 1:
Compound: Hf5Te6
Source: Alexandria
Functional: PBE
Structure: relaxed

a = 7.5407 Å, b = 6.9026 Å, c = 6.6572 Å
α = 81.15°, β = 73.64°, γ = 56.89°
Closest atoms and distances in Å follow each position.
Element x y z (fractional)
Te 0.6300 0.3125 0.2180  5 Hf 2.86-3.05
Te 0.3700 0.6875 0.7820  5 Hf 2.86-3.05
Te 0.2096 0.0000 0.2828  5 Hf 2.89-3.07
Te 0.0575 0.3125 0.7820  5 Hf 2.86-3.05
Te 0.9425 0.6875 0.2180  5 Hf 2.86-3.05
Te 0.7904 0.0000 0.7172  5 Hf 2.89-3.07
Hf 0.6329 0.7342 0.0000  6 Te 2.89-3.05, 1 Hf 3.07
Hf 0.2136 0.5728 0.5000  6 Te 2.86-3.07
Hf 0.5000 0.0000 0.5000  6 Te 2.94-3.03
Hf 0.3671 0.2658 0.0000  6 Te 2.89-3.05, 1 Hf 3.07
Hf 0.7864 0.4272 0.5000  6 Te 2.86-3.07

Calculated values
Theoretical density = 9.89 g/cm³
Energy relative to the elements, uncorrected = -577 kJ/mol of formula units
Total moment = 0.00 μB per cell



Entry 2:
Compound: CaPmGaPd
Source: Alexandria
Functional: PBE
Structure: relaxed

a = 5.1178 Å, b = 5.1178 Å, c = 5.1178 Å
α = 60.00°, β = 60.00°, γ = 60.00°
Closest atoms and distances in Å follow each position.
Element x y z (fractional)
Ga 0.7500 0.7500 0.7500  4 Ca 3.13, 4 Pm 3.13
Ca 0.5000 0.5000 0.5000  4 Ga 3.13, 4 Pd 3.13
Pm 0.0000 0.0000 0.0000  4 Ga 3.13, 4 Pd 3.13
Pd 0.2500 0.2500 0.2500  4 Ca 3.13, 4 Pm 3.13

Calculated values
Calculated formation energy = -0.59 eV/atom
Theoretical density = 6.33 g/cm³
Total moment = 0.00 μB per cell



Entry 3:
Compound: CrCdMo
Source: Alexandria
Functional: PBE
Structure: relaxed

a = 7.2322 Å, b = 7.0305 Å, c = 2.7737 Å
α = 82.91°, β = 74.72°, γ = 22.37°
Closest atoms and distances in Å follow each position.
Element x y z (fractional)
Cd 0.9958 0.9958 0.0042  6 Cd 2.77-3.10, 2 Cr 2.87, 2 Mo 3.02
Mo 0.6843 0.6843 0.3157  2 Cr 2.42
Cr 0.3199 0.3199 0.6801  2 Mo 2.42

Calculated values
Calculated formation energy = 0.40 eV/atom
Theoretical density = 8.84 g/cm³
Total moment = 0.00 μB per cell



Entry 4:
Compound: PuHfNb
Source: Alexandria
Functional: PBE
Structure: relaxed

a = 3.0796 Å, b = 4.8901 Å, c = 4.8901 Å
α = 120.00°, β = 90.00°, γ = 90.00°
Closest atoms and distances in Å follow each position.
Element x y z (fractional)
Nb 0.4438 0.3333 0.6667  3 Pu 2.84, 2 Nb 3.08, 3 Hf 3.13
Hf 0.0056 0.0000 0.0000  2 Hf 3.08, 6 Nb 3.13-3.31, 6 Pu 3.15-3.28
Pu 0.5507 0.6667 0.3333  3 Nb 2.84, 2 Pu 3.08, 3 Hf 3.15

Calculated values
Calculated formation energy = 0.12 eV/atom
Theoretical density = 13.42 g/cm³
Total moment = 5.12 μB per cell



Entry 5:
Compound: Li2ZnAs
Source: Alexandria
Functional: PBE
Structure: relaxed

a = 4.0374 Å, b = 3.8689 Å, c = 3.8689 Å
α = 90.00°, β = 90.00°, γ = 90.00°
Closest atoms and distances in Å follow each position.
Element x y z (fractional)
Li 0.0000 0.0000 0.0000  4 Li 2.74, 4 As 2.80, 4 Zn 2.80
Li 0.0000 0.5000 0.5000  4 Li 2.74, 4 As 2.80, 4 Zn 2.80
Zn 0.5000 0.5000 0.0000  4 As 2.74, 8 Li 2.80
As 0.5000 0.0000 0.5000  4 Zn 2.74, 8 Li 2.80

Calculated values
Calculated formation energy = -0.40 eV/atom
********
(Contact:lindamjr@mail.uc.edu) |
My visa application got rejected three times, but Aunty Pri never gave up the battle even when my parents were giving it up. Because of her organized way of presenting documents, I was confident to talk about my financial and academic background to the visa officers and make them realize I’m a bona-fide student. If Aunty Pri and Uncle Dissa treated me purely as a commercial client, I wouldn’t have ever made it to USA. I paid only a 0.001% to them compared to what they did for me and what I earn today.
Uncle Dissa and Aunty Pri knew how much my parents could afford and gave me advice, guidance and support to make my dream come true with what I had. I never saw them doing a business – instead, I saw their true love and desire to make one girl achieve her dream. I’m sure that it is the same they did to their own children as well as to hundreds of others.
Today I’m so proud to say I’m working as a Co-op Chemical Engineer in a leading International American company earning more than $4000 a month. I’m only in my third year in my Bachelor’s degree, yet I support myself including my tuition. I no longer take my parents’ money for anything.
It has been a long way from the day I decided to do my higher studies in USA. There were so many times I was exhausted and wanted to give up. But today I see the results of my sufferings. When I look back, I always see Uncle Dissa and Aunty Pri in the place I started. They were my stepping stone and because of the strong base they gave me, I never collapsed and never will. If there is a secret behind my success, they are it.